Source
-- begin --
Record 1
A plane-wave DFT calculation with PBE was carried out for crystalline SrAcGeCl at its relaxed geometry.

```
SrAcGeCl
1.0
6.241 0.000 0.000
0.000 2.669 4.686
0.000 -2.669 4.686
Sr Ac Ge Cl
1 1 1 1
Direct
0.000 0.000 0.000
0.500 0.669 0.669
0.500 0.000 0.000
0.000 0.669 0.669
```

Results
- E above lowest polymorph: 0 meV/atom
- Total energy: -16.7 eV per cell
- DOS at the Fermi energy: 1.1 states/eV/f.u.
- Raw formation energy: -429 kJ/mol of formula units

Record 2
A plane-wave DFT calculation with PBE was carried out for crystalline SrMg2P at its relaxed geometry.

```
SrMg2P
1.0
2.620 -2.624 0.000
2.620 2.624 0.000
0.000 0.000 7.190
Sr Mg P
1 2 1
Direct
0.000 0.000 0.000
0.000 0.000 0.423
0.500 0.500 0.649
0.500 0.500 0.274
```

Results
- DFT formation energy: -335 meV per atom
- Total energy: -11.6 eV per cell
- DOS at the Fermi energy: 1.8 states/eV/f.u.

Record 3
A plane-wave DFT calculation with PBE was carried out for crystalline LiHoTl6 at its relaxed geometry.

```
LiHoTl6
1.0
4.729 -4.730 0.000
4.729 4.730 0.000
0.000 0.000 4.824
Li Ho Tl
1 1 6
Direct
0.000 0.000 0.000
0.500 0.500 0.000
0.000 0.500 0.000
0.246 0.754 0.500
0.248 0.248 0.500
0.500 0.000 0.000
0.752 0.752 0.500
0.754 0.246 0.500
```

Results
- DFT formation energy: -110 meV per atom
- E above lowest polymorph: 0 meV/atom
- Total energy: -21.6 eV per cell
- DOS at the Fermi energy: 4.4 states/eV/f.u.

Record 4
A plane-wave DFT calculation with PBE was carried out for crystalline NdDy4Ho4 at its relaxed geometry.

```
NdDy4Ho4
1.0
6.713 0.000 0.000
1.826 8.240 0.000
2.932 -0.642 10.434
Nd Dy Ho
2 8 8
Direct
0.221 0.029 0.214
0.779 0.971 0.786
0.112 0.638 0.564
0.444 0.309 0.009
0.445 0.309 0.343
0.446 0.305 0.675
0.554 0.695 0.325
0.555 0.691 0.657
0.556 0.691 0.991
0.888 0.362 0.436
0.107 0.639 0.232
0.111 0.638 0.898
0.223 0.028 0.879
0.224 0.029 0.547
0.776 0.971 0.453
0.777 0.972 0.121
0.889 0.362 0.102
0.893 0.361 0.768
```

Results
- DFT formation energy: 10 meV per atom
- Total energy: -82.8 eV per cell
- DOS at the Fermi energy: 16.0 states/eV/f.u.

Record 5
A plane-wave DFT calculation with PBE was carried out for crystalline SiSb4Mo at its relaxed geometry.

```
SiSb4Mo
1.0
0.000 4.309 4.309
4.309 0.000 4.309
4.309 4.309 0.000
Si Sb Mo
1 4 1
Direct
0.000 0.000 0.000
0.375 0.375 0.375
0.375 0.375 0.875
0.375 0.875 0.375
0.875 0.375 0.375
0.750 0.750 0.750
```

Results
- Total energy: -26.2 eV per cell
- DOS at the Fermi energy: 4.0 states/eV/f.u.
- Raw formation energy: 636 kJ/mol of formula units

Record 6
A plane-wave DFT calculation with PBE was carried out for crystalline GdSc3B at its relaxed geometry.

```
GdSc3B
1.0
4.833 0.000 0.000
0.000 4.833 0.000
0.000 0.000 4.833
Gd Sc B
1 3 1
Direct
0.000 0.000 0.000
0.000 0.500 0.500
0.500 0.000 0.500
0.500 0.500 0.000
0.500 0.500 0.500
```

Results
- DFT formation energy: -26 meV per atom
- Total energy: -39.9 eV per cell
- DOS at the Fermi energy: 6.7 states/eV/f.u.

Record 7
A plane-wave DFT calculation with PBE was carried out for crystalline Li3Ca2Sn4 at its relaxed geometry.

```
Li3Ca2Sn4
1.0
3.221 -8.320 0.000
3.221 8.320 0.000
0.000 0.000 8.064
Li Ca Sn
6 4 8
Direct
0.000 0.000 0.000
0.014 0.486 0.250
0.486 0.014 0.750
0.500 0.500 0.500
0.514 0.986 0.250
0.986 0.514 0.750
0.105 0.895 0.400
0.395 0.605 0.900
0.605 0.395 0.100
0.895 0.105 0.600
0.175 0.825 0.003
0.187 0.313 0.250
0.313 0.187 0.750
0.325 0.675 0.503
0.675 0.325 0.497
0.687 0.813 0.250
0.813 0.687 0.750
0.825 0.175 0.997
```

Results
- DFT formation energy: -451 meV per atom
- Total energy: -59.6 eV per cell
- DOS at the Fermi energy: 3.6 states/eV/f.u.

Record 8
A plane-wave DFT calculation with PBE was carried out for crystalline DyClO at its relaxed geometry.

```
DyClO
1.0
1.910 1.103 9.943
-1.910 1.103 9.943
0.000 -2.205 9.943
Dy Cl O
2 2 2
Direct
0.215 0.215 0.215
0.785 0.785 0.785
0.394 0.394 0.394
0.606 0.606 0.606
0.138 0.138 0.138
0.862 0.862 0.862
```

Results
- Total energy: -41.5 eV per cell
-- stop --

What to do
Copy the contents further above from the first line to the one with "3.221 8.320" exactly, please.

Response
Record 1
A plane-wave DFT calculation with PBE was carried out for crystalline SrAcGeCl at its relaxed geometry.

```
SrAcGeCl
1.0
6.241 0.000 0.000
0.000 2.669 4.686
0.000 -2.669 4.686
Sr Ac Ge Cl
1 1 1 1
Direct
0.000 0.000 0.000
0.500 0.669 0.669
0.500 0.000 0.000
0.000 0.669 0.669
```

Results
- E above lowest polymorph: 0 meV/atom
- Total energy: -16.7 eV per cell
- DOS at the Fermi energy: 1.1 states/eV/f.u.
- Raw formation energy: -429 kJ/mol of formula units

Record 2
A plane-wave DFT calculation with PBE was carried out for crystalline SrMg2P at its relaxed geometry.

```
SrMg2P
1.0
2.620 -2.624 0.000
2.620 2.624 0.000
0.000 0.000 7.190
Sr Mg P
1 2 1
Direct
0.000 0.000 0.000
0.000 0.000 0.423
0.500 0.500 0.649
0.500 0.500 0.274
```

Results
- DFT formation energy: -335 meV per atom
- Total energy: -11.6 eV per cell
- DOS at the Fermi energy: 1.8 states/eV/f.u.

Record 3
A plane-wave DFT calculation with PBE was carried out for crystalline LiHoTl6 at its relaxed geometry.

```
LiHoTl6
1.0
4.729 -4.730 0.000
4.729 4.730 0.000
0.000 0.000 4.824
Li Ho Tl
1 1 6
Direct
0.000 0.000 0.000
0.500 0.500 0.000
0.000 0.500 0.000
0.246 0.754 0.500
0.248 0.248 0.500
0.500 0.000 0.000
0.752 0.752 0.500
0.754 0.246 0.500
```

Results
- DFT formation energy: -110 meV per atom
- E above lowest polymorph: 0 meV/atom
- Total energy: -21.6 eV per cell
- DOS at the Fermi energy: 4.4 states/eV/f.u.

Record 4
A plane-wave DFT calculation with PBE was carried out for crystalline NdDy4Ho4 at its relaxed geometry.

```
NdDy4Ho4
1.0
6.713 0.000 0.000
1.826 8.240 0.000
2.932 -0.642 10.434
Nd Dy Ho
2 8 8
Direct
0.221 0.029 0.214
0.779 0.971 0.786
0.112 0.638 0.564
0.444 0.309 0.009
0.445 0.309 0.343
0.446 0.305 0.675
0.554 0.695 0.325
0.555 0.691 0.657
0.556 0.691 0.991
0.888 0.362 0.436
0.107 0.639 0.232
0.111 0.638 0.898
0.223 0.028 0.879
0.224 0.029 0.547
0.776 0.971 0.453
0.777 0.972 0.121
0.889 0.362 0.102
0.893 0.361 0.768
```

Results
- DFT formation energy: 10 meV per atom
- Total energy: -82.8 eV per cell
- DOS at the Fermi energy: 16.0 states/eV/f.u.

Record 5
A plane-wave DFT calculation with PBE was carried out for crystalline SiSb4Mo at its relaxed geometry.

```
SiSb4Mo
1.0
0.000 4.309 4.309
4.309 0.000 4.309
4.309 4.309 0.000
Si Sb Mo
1 4 1
Direct
0.000 0.000 0.000
0.375 0.375 0.375
0.375 0.375 0.875
0.375 0.875 0.375
0.875 0.375 0.375
0.750 0.750 0.750
```

Results
- Total energy: -26.2 eV per cell
- DOS at the Fermi energy: 4.0 states/eV/f.u.
- Raw formation energy: 636 kJ/mol of formula units

Record 6
A plane-wave DFT calculation with PBE was carried out for crystalline GdSc3B at its relaxed geometry.

```
GdSc3B
1.0
4.833 0.000 0.000
0.000 4.833 0.000
0.000 0.000 4.833
Gd Sc B
1 3 1
Direct
0.000 0.000 0.000
0.000 0.500 0.500
0.500 0.000 0.500
0.500 0.500 0.000
0.500 0.500 0.500
```

Results
- DFT formation energy: -26 meV per atom
- Total energy: -39.9 eV per cell
- DOS at the Fermi energy: 6.7 states/eV/f.u.

Record 7
A plane-wave DFT calculation with PBE was carried out for crystalline Li3Ca2Sn4 at its relaxed geometry.

```
Li3Ca2Sn4
1.0
3.221 -8.320 0.000
3.221 8.320 0.000